Exercise:
The reader should duplicate everything underneath exactly.

Entries:
- - -
1.
A relaxed Ba12RhAu6 crystal, computed with PBE.

DOS(E_F): 0.48 states/eV/atom
energy of formation from the pure elements: -0.51 eV per atom

CIF file:
```
data_Ba12RhAu6
_chemical_formula_sum 'Ba36 Rh3 Au18'
_cell_length_a 14.5526
_cell_length_b 14.5526
_cell_length_c 13.7495
_cell_angle_alpha 90.00
_cell_angle_beta 90.00
_cell_angle_gamma 120.00
_space_group_name_H-M_alt 'R -3'
_space_group_IT_number 148
_space_group_name_Hall '-R 3'
loop_
_atom_site_label
_atom_site_fract_x
_atom_site_fract_y
_atom_site_fract_z
_atom_site_occupancy
Ba1 0.0269 0.2158 0.3941 1
Ba2 0.0403 0.1953 0.8818 1
Rh1 0.0000 0.0000 0.0000 1
Au1 0.0446 0.2662 0.6443 1
```

2.
A relaxed Rb2Ag2As crystal, computed with PBE.

DOS(E_F): 0.44 states/eV/atom
energy of formation from the pure elements: 0.37 eV per atom
energy relative to the lowest polymorph listed for this composition: 0.380 eV per atom

CIF file:
```
data_Rb2Ag2As
_chemical_formula_sum 'Rb4 Ag4 As2'
_cell_length_a 10.451
_cell_length_b 10.451
_cell_length_c 3.063
_cell_angle_alpha 90.00
_cell_angle_beta 90.00
_cell_angle_gamma 90.00
_space_group_name_H-M_alt 'P 4/m b m'
_space_group_IT_number 127
_space_group_name_Hall '-P 4 2ab'
loop_
_atom_site_label
_atom_site_fract_x
_atom_site_fract_y
_atom_site_fract_z
_atom_site_occupancy
Rb1 0.198 0.302 0.000 1
Ag1 0.093 0.593 0.500 1
As1 0.000 0.000 0.000 1
```

3.
A relaxed La4YTm10 crystal, computed with PBE.

DOS(E_F): 1.58 states/eV/atom
energy of formation from the pure elements: 0.37 eV per atom

CIF file:
```
data_La4YTm10
_chemical_formula_sum 'La8 Y2 Tm20'
_cell_length_a 9.758
_cell_length_b 9.758
_cell_length_c 10.580
_cell_angle_alpha 90.00
_cell_angle_beta 90.00
_cell_angle_gamma 90.00
_space_group_name_H-M_alt 'I 4/m'
_space_group_IT_number 87
_space_group_name_Hall '-I 4'
loop_
_atom_site_label
_atom_site_fract_x
_atom_site_fract_y
_atom_site_fract_z
_atom_site_occupancy
La1 0.069 0.663 0.000 1
Y1 0.000 0.000 0.000 1
Tm1 0.000 0.500 0.250 1
Tm2 0.113 0.791 0.339 1
```

These records have VASP energy values of -3.1429, -2.0917, -4.3519 eV per atom, in the order they appear.
These records have total moment values of 0.0, 0.0, 0.0 μB per formula unit, in the order they appear.


Record 1
! VIn3Ni, optimized geometry, DFT PBE-GGA; values from VASP
&SYSTEM
  ibrav = 0, nat = 5, ntyp = 3
/
ATOMIC_SPECIES
V 50.94 V.upf
In 114.82 In.upf
Ni 58.69 Ni.upf
CELL_PARAMETERS angstrom
4.8838 0.0000 0.0000
0.0000 4.8838 0.0000
0.0000 0.0000 4.8838
ATOMIC_POSITIONS crystal
V 0.0000 0.0000 0.0000
In 0.0000 0.5000 0.5000
In 0.5000 0.0000 0.5000
In 0.5000 0.5000 0.0000
Ni 0.5000 0.5000 0.5000
! Calculated volume: 23.3 Å³ per atom
! ΔH_f (0 K): 0.47 eV/atom
! Space-group type: Pm-3m, No. 221
! Total magnetic moment: 3.733 μB/cell


Record 2
! Mg2TlCl, optimized geometry, DFT PBE-GGA; values from VASP
&SYSTEM
  ibrav = 0, nat = 4, ntyp = 3
/
ATOMIC_SPECIES
Mg 24.30 Mg.upf
Tl 204.38 Tl.upf
Cl 35.45 Cl.upf
CELL_PARAMETERS angstrom
5.3527 0.0000 0.0000
0.0000 5.3527 0.0000
0.0000 0.0000 3.2600
ATOMIC_POSITIONS crystal
Mg 0.0000 0.5000 0.0000
Mg 0.5000 0.0000 0.0000
Tl 0.0000 0.0000 0.5000
Cl 0.5000 0.5000 0.5000
! Formation energy (no corrections): -362 meV per atom
! Calculated volume: 23.4 Å³ per atom
! Space-group type: P4/mmm, No. 123
! Total magnetic moment: 0.000 μB/cell


Record 3
! EuGd2Th, optimized geometry, DFT PBE-GGA; values from VASP
&SYSTEM
  ibrav = 0, nat = 4, ntyp = 3
/
ATOMIC_SPECIES
Eu 151.96 Eu.upf
Gd 157.25 Gd.upf
Th 232.04 Th.upf
CELL_PARAMETERS angstrom
3.6203 0.0000 0.0000
0.0000 3.6203 0.0000
0.0000 0.0000 10.5274
ATOMIC_POSITIONS crystal
Eu 0.0000 0.0000 0.0000
Gd 0.5000 0.5000 0.2737
Gd 0.5000 0.5000 0.7263
Th 0.0000 0.0000 0.5000
! Calculated volume: 34.5 Å³ per atom
! ΔH_f (0 K): 0.05 eV/atom
! Space-group type: P4/mmm, No. 123
! Total magnetic moment: 6.912 μB/cell


Record 4
! LaTlCl2, optimized geometry, DFT PBE-GGA; values from VASP
&SYSTEM
  ibrav = 0, nat = 4, ntyp = 3
/
ATOMIC_SPECIES
La 138.91 La.upf
Tl 204.38 Tl.upf
- - -

Worked solution:
1.
A relaxed Ba12RhAu6 crystal, computed with PBE.

DOS(E_F): 0.48 states/eV/atom
energy of formation from the pure elements: -0.51 eV per atom

CIF file:
```
data_Ba12RhAu6
_chemical_formula_sum 'Ba36 Rh3 Au18'
_cell_length_a 14.5526
_cell_length_b 14.5526
_cell_length_c 13.7495
_cell_angle_alpha 90.00
_cell_angle_beta 90.00
_cell_angle_gamma 120.00
_space_group_name_H-M_alt 'R -3'
_space_group_IT_number 148
_space_group_name_Hall '-R 3'
loop_
_atom_site_label
_atom_site_fract_x
_atom_site_fract_y
_atom_site_fract_z
_atom_site_occupancy
Ba1 0.0269 0.2158 0.3941 1
Ba2 0.0403 0.1953 0.8818 1
Rh1 0.0000 0.0000 0.0000 1
Au1 0.0446 0.2662 0.6443 1
```

2.
A relaxed Rb2Ag2As crystal, computed with PBE.

DOS(E_F): 0.44 states/eV/atom
energy of formation from the pure elements: 0.37 eV per atom
energy relative to the lowest polymorph listed for this composition: 0.380 eV per atom

CIF file:
```
data_Rb2Ag2As
_chemical_formula_sum 'Rb4 Ag4 As2'
_cell_length_a 10.451
_cell_length_b 10.451
_cell_length_c 3.063
_cell_angle_alpha 90.00
_cell_angle_beta 90.00
_cell_angle_gamma 90.00
_space_group_name_H-M_alt 'P 4/m b m'
_space_group_IT_number 127
_space_group_name_Hall '-P 4 2ab'
loop_
_atom_site_label
_atom_site_fract_x
_atom_site_fract_y
_atom_site_fract_z
_atom_site_occupancy
Rb1 0.198 0.302 0.000 1
Ag1 0.093 0.593 0.500 1
As1 0.000 0.000 0.000 1
```

3.
A relaxed La4YTm10 crystal, computed with PBE.

DOS(E_F): 1.58 states/eV/atom
energy of formation from the pure elements: 0.37 eV per atom

CIF file:
```
data_La4YTm10
_chemical_formula_sum 'La8 Y2 Tm20'
_cell_length_a 9.758
_cell_length_b 9.758
_cell_length_c 10.580
_cell_angle_alpha 90.00
_cell_angle_beta 90.00
_cell_angle_gamma 90.00
_space_group_name_H-M_alt 'I 4/m'
_space_group_IT_number 87
_space_group_name_Hall '-I 4'
loop_
_atom_site_label
_atom_site_fract_x
_atom_site_fract_y
_atom_site_fract_z
_atom_site_occupancy
La1 0.069 0.663 0.000 1
Y1 0.000 0.000 0.000 1
Tm1 0.000 0.500 0.250 1
Tm2 0.113 0.791 0.339 1
```

These records have VASP energy values of -3.1429, -2.0917, -4.3519 eV per atom, in the order they appear.
These records have total moment values of 0.0, 0.0, 0.0 μB per formula unit, in the order they appear.


Record 1
! VIn3Ni, optimized geometry, DFT PBE-GGA; values from VASP
&SYSTEM
  ibrav = 0, nat = 5, ntyp = 3
/
ATOMIC_SPECIES
V 50.94 V.upf
In 114.82 In.upf
Ni 58.69 Ni.upf
CELL_PARAMETERS angstrom
4.8838 0.0000 0.0000
0.0000 4.8838 0.0000
0.0000 0.0000 4.8838
ATOMIC_POSITIONS crystal
V 0.0000 0.0000 0.0000
In 0.0000 0.5000 0.5000
In 0.5000 0.0000 0.5000
In 0.5000 0.5000 0.0000
Ni 0.5000 0.5000 0.5000
! Calculated volume: 23.3 Å³ per atom
! ΔH_f (0 K): 0.47 eV/atom
! Space-group type: Pm-3m, No. 221
! Total magnetic moment: 3.733 μB/cell


Record 2
! Mg2TlCl, optimized geometry, DFT PBE-GGA; values from VASP
&SYSTEM
  ibrav = 0, nat = 4, ntyp = 3
/
ATOMIC_SPECIES
Mg 24.30 Mg.upf
Tl 204.38 Tl.upf
Cl 35.45 Cl.upf
CELL_PARAMETERS angstrom
5.3527 0.0000 0.0000
0.0000 5.3527 0.0000
0.0000 0.0000 3.2600
ATOMIC_POSITIONS crystal
Mg 0.0000 0.5000 0.0000
Mg 0.5000 0.0000 0.0000
Tl 0.0000 0.0000 0.5000
Cl 0.5000 0.5000 0.5000
! Formation energy (no corrections): -362 meV per atom
! Calculated volume: 23.4 Å³ per atom
! Space-group type: P4/mmm, No. 123
! Total magnetic moment: 0.000 μB/cell


Record 3
! EuGd2Th, optimized geometry, DFT PBE-GGA; values from VASP
&SYSTEM
  ibrav = 0, nat = 4, ntyp = 3
/
ATOMIC_SPECIES
Eu 151.96 Eu.upf
Gd 157.25 Gd.upf
Th 232.04 Th.upf
CELL_PARAMETERS angstrom
3.6203 0.0000 0.0000
0.0000 3.6203 0.0000
0.0000 0.0000 10.5274
ATOMIC_POSITIONS crystal
Eu 0.0000 0.0000 0.0000
Gd 0.5000 0.5000 0.2737
Gd 0.5000 0.5000 0.7263
Th 0.0000 0.0000 0.5000
! Calculated volume: 34.5 Å³ per atom
! ΔH_f (0 K): 0.05 eV/atom
! Space-group type: P4/mmm, No. 123
! Total magnetic moment: 6.912 μB/cell


Record 4
! LaTlCl2, optimized geometry, DFT PBE-GGA; values from VASP
&SYSTEM
  ibrav = 0, nat = 4, ntyp = 3
/
ATOMIC_SPECIES
La 138.91 La.upf
Tl 204.38 Tl.upf